[Request]
Next, quote the part of the notes underneath that starts with the line with "24.28" and stops after the one with "7.771".
[File]
********
Entry 1:
Diffraction record for KTmNpO6. The PXRD pattern is calculated, not measured: it uses a crystal structure in Alexandria, relaxed with GGA-PBE and copper Kα.

Principal peaks in the range 10 to 90 degrees two-theta, sorted by position:
2theta  d [Å]  I_rel
17.02  5.210  19
18.71  4.743  56
23.62  3.766  100
30.73  2.909  86
33.65  2.663  26
38.78  2.322  15
46.21  1.964  68
48.33  1.883  18
54.48  1.684  18
58.37  1.581  20
58.52  1.577  16
69.10  1.359  17

```
18
Lattice="5.326 0.000 0.000 0.000 5.326 0.000 0.000 0.000 10.421" Properties=species:S:1:pos:R:3 pbc="T T T"
K 0.000 0.000 0.000
K 2.663 2.663 5.210
Tm 0.000 0.000 6.970
Tm 2.663 2.663 1.760
Np 0.000 0.000 3.515
Np 2.663 2.663 8.725
O 0.874 0.874 5.084
O 1.103 1.103 2.220
O 1.230 1.230 8.395
O 1.433 3.893 3.184
O 1.561 3.766 7.431
O 1.789 3.537 10.294
O 3.537 1.789 10.294
O 3.766 1.561 7.431
O 3.893 1.433 3.184
O 4.096 4.096 8.395
O 4.224 4.224 2.220
O 4.452 4.452 5.084
```



Entry 2:
Diffraction record for K3NpZn2O6. The PXRD pattern is calculated, not measured: it uses a crystal structure in Alexandria, relaxed with GGA-PBE and copper Kα.

Principal peaks in the range 10 to 90 degrees two-theta, sorted by position:
2theta  d [Å]  I_rel
12.56  7.050  78
16.58  5.345  54
20.86  4.259  65
28.93  3.086  94
30.38  2.943  100
31.65  2.827  36
42.00  2.151  19
42.44  2.130  50
51.82  1.764  20
52.18  1.753  47
60.46  1.531  32
68.68  1.367  19

```
12
Lattice="6.172 0.000 0.000 -3.086 5.345 0.000 0.000 0.000 7.050" Properties=species:S:1:pos:R:3 pbc="T T T"
K 0.000 0.000 0.000
K 0.000 3.564 5.150
K 3.086 1.782 1.899
Np 0.000 0.000 3.525
Zn 0.000 3.564 2.090
Zn 3.086 1.782 4.960
O 0.000 1.689 2.185
O -1.624 4.501 2.185
O 1.462 0.844 4.865
O 1.624 4.501 2.185
O 4.710 0.844 4.865
O 3.086 3.657 4.865
```



Entry 3:
Diffraction record for K2NpPaS6. The PXRD pattern is calculated, not measured: it uses a crystal structure in Alexandria, relaxed with GGA-PBE and copper Kα.

Principal peaks in the range 10 to 90 degrees two-theta, sorted by position:
2theta  d [Å]  I_rel
17.10  5.185  97
24.28  3.666  100
34.60  2.592  47
38.83  2.319  44
42.71  2.117  42
49.72  1.834  26
52.97  1.729  23
56.08  1.640  18
64.81  1.439  9
67.56  1.386  17
67.70  1.384  9
78.18  1.223  10

```
20
Lattice="7.318 0.000 0.000 0.000 7.338 0.000 -7.315 0.000 10.381" Properties=species:S:1:pos:R:3 pbc="T T T"
K -0.026 0.149 2.596
K -3.683 3.520 7.787
K 3.686 3.818 2.594
K 0.029 7.190 7.785
Np -3.657 0.000 5.190
Np 0.000 3.669 0.000
Pa 3.659 0.000 0.000
Pa 0.002 3.669 5.190
S -5.691 1.650 10.147
S -2.033 2.019 4.956
S -5.301 5.298 10.146
S -1.644 5.710 4.956
S -3.335 0.038 7.771
S 0.322 3.632 2.581
S -0.319 3.707 7.800
S 3.338 7.301 2.610
S 1.647 1.629 5.425
S 5.304 2.041 0.235
S 2.036 5.319 5.425
S 5.694 5.688 0.234
```



Entry 4:
Diffraction record for K2NpPa2Se6. The PXRD pattern is calculated, not measured: it uses a crystal structure in Alexandria, relaxed with GGA-PBE and copper Kα.

Principal peaks in the range 10 to 90 degrees two-theta, sorted by position:
2theta  d [Å]  I_rel
11.15  7.936  100
25.00  3.562  28
28.94  3.085  63
29.03  3.076  31
36.29  2.476  19
36.41  2.468  9
39.27  2.294  35
43.51  2.080  33
45.06  2.012  21
49.14  1.854  10
53.14  1.724  11
70.96  1.328  10

```
11
Lattice="3.600 -6.244 0.000 3.600 6.244 0.000 -2.371 0.000 7.936" Properties=species:S:1:pos:R:3 pbc="T T T"
K 3.600 4.173 0.000
K 3.600 -4.173 0.000
Np -1.185 0.000 3.968
Pa 2.415 2.066 3.968
Pa 2.415 -2.066 3.968
Se 0.032 2.118 5.588
Se 1.249 0.000 2.332
Se 0.032 -2.118 5.588
Se 4.798 2.118 2.348
Se 3.581 0.000 5.604
Se 4.798 -2.118 2.348
```



Entry 5:
Diffraction record for K2Np2PaSe6. The PXRD pattern is calculated, not measured: it uses a crystal structure in Alexandria, relaxed with GGA-PBE and copper Kα.

Principal peaks in the range 10 to 90 degrees two-theta, sorted by position:
2theta  d [Å]  I_rel
11.26  7.862  100
24.80  3.590  28
28.87  3.092  93
36.30  2.475  10
36.41  2.468  19
********
[Here it is]
24.28  3.666  100
34.60  2.592  47
38.83  2.319  44
42.71  2.117  42
49.72  1.834  26
52.97  1.729  23
56.08  1.640  18
64.81  1.439  9
67.56  1.386  17
67.70  1.384  9
78.18  1.223  10

```
20
Lattice="7.318 0.000 0.000 0.000 7.338 0.000 -7.315 0.000 10.381" Properties=species:S:1:pos:R:3 pbc="T T T"
K -0.026 0.149 2.596
K -3.683 3.520 7.787
K 3.686 3.818 2.594
K 0.029 7.190 7.785
Np -3.657 0.000 5.190
Np 0.000 3.669 0.000
Pa 3.659 0.000 0.000
Pa 0.002 3.669 5.190
S -5.691 1.650 10.147
S -2.033 2.019 4.956
S -5.301 5.298 10.146
S -1.644 5.710 4.956
S -3.335 0.038 7.771